Having to answer questions from the media can be nerve-wracking. As a public affairs professional, it is essential that you meticulously prepare SMEs for interviews from start to finish. When working with a SME, you will have additional tasks to understand and complete along with the fundamental interview tasks. For a refresher on interview fundamentals, refer to Successful Interviews 101.
Review the steps below to fully prepare your SME for their next interview:
**Misplaced data records:**
<<<
The following is a theoretical XRD peak list of CdIO4. It was derived from DFT lattice parameters and positions (PBE), using λ = 1.5418 Å (Cu Kα).

The 10 most intense peaks (5° ≤ 2θ ≤ 70°), low angle first:
2theta	Rel. int.	(hkl)
19.69	34	1 0 1
23.54	100	1 1 1
30.16	56	3 0 1
30.38	59	2 2 0
32.58	47	1 2 1
32.87	17	3 1 1
44.03	17	1 3 1
48.15	49	2 2 2
49.40	16	4 0 2
52.26	34	5 2 1

Cell and atoms:
```
data_CdIO4
_chemical_formula_sum 'Cd4 I4 O16'
_symmetry_space_group_name_H-M 'P n m a'
_symmetry_Int_Tables_number 62
_symmetry_space_group_name_Hall '-P 2ac 2n'
_cell_length_a 11.124
_cell_length_b 6.934
_cell_length_c 4.931
_cell_angle_alpha 90.00
_cell_angle_beta 90.00
_cell_angle_gamma 90.00
loop_
_atom_site_label
_atom_site_fract_x
_atom_site_fract_y
_atom_site_fract_z
_atom_site_occupancy
Cd1 0.000 0.000 0.000 1
I1 0.214 0.250 0.485 1
O1 0.071 0.250 0.709 1
O2 0.117 0.750 0.855 1
O3 0.169 0.046 0.270 1
```

* * * * *

1.
Simulated XRD peak list
Compound: Rb2PbF7
Radiation: Cu Kα (λ = 1.5418 Å)
Structure: a structure optimized by DFT (PBE)
Neutral-atom scattering factors, no anomalous dispersion.

a b c (Å): 14.974 6.662 10.204
angles (deg): 90.00 132.83 90.00
Space group C2/c (No. 15)
Symmetry-distinct sites (fractional):
Rb: 0.172 0.038 0.081 [8 per cell]
Pb: 0.000 0.496 0.750 [4 per cell]
F: 0.000 0.167 0.250 [4 per cell]
F: 0.078 0.253 0.721 [8 per cell]
F: 0.094 0.344 0.182 [8 per cell]
F: 0.168 0.487 0.515 [8 per cell]

The 8 most intense peaks (10 to 90 degrees two-theta), low angle first:
two_theta  I (rel.)  (hkl)
15.56  46.6  1 1 0
23.40  100.0  1 1 -2
23.82  56.5  4 0 -2
26.76  31.2  0 2 0
27.81  51.6  3 1 0
36.14  44.5  4 2 -2
38.69  33.7  5 1 -4
47.88  32.9  2 2 -4

***

2.
Simulated XRD peak list
Compound: In2Se
Radiation: Cu Kα (λ = 1.5418 Å)
Structure: a structure optimized by DFT (PBE)
Neutral-atom scattering factors, no anomalous dispersion.

a b c (Å): 4.2506 4.2506 5.5220
angles (deg): 90.00 90.00 120.00
Space group P-3m1 (No. 164)
Symmetry-distinct sites (fractional):
In: 0.3333 0.6667 0.1941 [2 per cell]
Se: 0.0000 0.0000 0.5000 [1 per cell]

The 8 most intense peaks (10 to 90 degrees two-theta), low angle first:
two_theta  I (rel.)  (hkl)
29.16  100.0  1 0 1
40.86  35.8  0 1 2
42.54  34.3  1 1 0
52.40  18.8  0 2 1
60.45  10.9  2 0 2
67.29  14.0  1 1 3
69.70  15.6  2 1 1
76.70  10.8  1 2 2

***

3.
Simulated XRD peak list
Compound: Zn3S2O9
Radiation: Cu Kα (λ = 1.5418 Å)
Structure: a structure optimized by DFT (PBE)
Neutral-atom scattering factors, no anomalous dispersion.

a b c (Å): 7.522 6.726 8.072
angles (deg): 90.00 117.76 90.00
Space group P2_1/m (No. 11)
Symmetry-distinct sites (fractional):
Zn: 0.000 0.000 0.000 [2 per cell]
Zn: 0.143 0.250 0.758 [2 per cell]
Zn: 0.384 0.250 0.244 [2 per cell]
S: 0.157 0.750 0.707 [2 per cell]
S: 0.451 0.750 0.293 [2 per cell]
O: 0.081 0.750 0.502 [2 per cell]
O: 0.086 0.571 0.768 [4 per cell]
O: 0.128 0.250 0.000 [2 per cell]
O: 0.317 0.571 0.233 [4 per cell]
>>>
1. Do the Groundwork
A successful interview begins with extensive planning. The more prepared a SME is, the more confident and relaxed they will be, ensuring a smooth interview. This includes scouting, securing and sanitizing locations, rehearsing interview choreography, and accounting for all security protocols.
Additionally, you can follow this checklist to set your SME up for interview success by briefing them on the reporter's background and focus, and reviewing ground rules for the interview, including length, topic, whether the interview is on the record, attribution, security, accuracy, propriety and policy.
-- Data records that have nothing to do with the article --
********
# 1
Structure and simulated powder XRD pattern of SrPmSe2F (the PBE geometry in Alexandria; Cu Ka).
Neutral-atom scattering factors, no anomalous dispersion.

Principal peaks in the range 2θ = 10–80°, low angle first:
- 24.02°, I = 35, hkl 0 0 4
- 24.46°, I = 26, hkl 1 0 2
- 30.26°, I = 100, hkl 1 1 0
- 39.00°, I = 53, hkl 1 1 4
- 42.52°, I = 29, hkl 1 0 6
- 43.30°, I = 58, hkl 2 0 0

```
data_SrPmSe2F
_cell_length_a 4.177
_cell_length_b 4.177
_cell_length_c 14.821
_cell_angle_alpha 90.00
_cell_angle_beta 90.00
_cell_angle_gamma 90.00
_space_group_name_H-M_alt 'P 4/n m m'
_space_group_IT_number 129
loop_
_space_group_symop_operation_xyz
'x,y,z'
'-x,-y,-z'
'-y+1/2,x,z'
'y+1/2,-x,-z'
'-x+1/2,-y+1/2,z'
'x+1/2,y+1/2,-z'
'y,-x+1/2,z'
'-y,x+1/2,-z'
'x+1/2,-y,-z'
'-x+1/2,y,z'
'-y,-x,-z'
'y,x,z'
'-x,y+1/2,-z'
'x,-y+1/2,z'
'y+1/2,x+1/2,-z'
'-y+1/2,-x+1/2,z'
loop_
_atom_site_label
_atom_site_fract_x
_atom_site_fract_y
_atom_site_fract_z
Sr1 0.250 0.250 0.095
Pm1 0.250 0.250 0.625
Se1 0.250 0.250 0.408
Se2 0.250 0.250 0.807
F1 0.250 0.750 0.000
```

# 2
Structure and simulated powder XRD pattern of Pm2SiF2 (the PBE geometry in Alexandria; Cu Ka).
Neutral-atom scattering factors, no anomalous dispersion.

Principal peaks in the range 2θ = 10–80°, low angle first:
- 22.26°, I = 81, hkl 2 0 0
- 26.18°, I = 38, hkl 2 0 -2
- 27.43°, I = 66, hkl 0 2 1
- 29.84°, I = 100, hkl 2 2 -1
- 30.34°, I = 53, hkl 0 0 2
- 45.39°, I = 51, hkl 2 2 -3

```
data_Pm2SiF2
_cell_length_a 9.479
_cell_length_b 7.796
_cell_length_c 6.995
_cell_angle_alpha 90.00
_cell_angle_beta 122.60
_cell_angle_gamma 90.00
_space_group_name_H-M_alt 'C 1 2/c 1'
_space_group_IT_number 15
loop_
_space_group_symop_operation_xyz
'x,y,z'
'-x,-y,-z'
'-x,y,-z+1/2'
'x,-y,z+1/2'
'x+1/2,y+1/2,z'
'-x+1/2,-y+1/2,-z'
'-x+1/2,y+1/2,-z+1/2'
'x+1/2,-y+1/2,z+1/2'
loop_
_atom_site_label
_atom_site_fract_x
_atom_site_fract_y
_atom_site_fract_z
Pm1 0.233 0.113 0.244
Si1 0.000 0.164 0.750
F1 0.168 0.376 0.353
```

# 3
Structure and simulated powder XRD pattern of Pm5Sn3F (the PBE geometry in Alexandria; Cu Ka).
Neutral-atom scattering factors, no anomalous dispersion.

Principal peaks in the range 2θ = 10–80°, low angle first:
- 29.48°, I = 27, hkl 2 1 0
- 32.51°, I = 100, hkl 2 1 1
- 33.33°, I = 88, hkl 1 1 2
- 33.54°, I = 51, hkl 3 0 0
- 48.01°, I = 22, hkl 2 2 2
- 51.30°, I = 28, hkl 2 1 3

```
data_Pm5Sn3F
_cell_length_a 9.2563
_cell_length_b 9.2563
_cell_length_c 6.6039
_cell_angle_alpha 90.00
_cell_angle_beta 90.00
_cell_angle_gamma 120.00
_space_group_name_H-M_alt 'P 63/m c m'
_space_group_IT_number 193
_space_group_name_Hall '-P 6c 2'
loop_
_atom_site_label
_atom_site_fract_x
_atom_site_fract_y
_atom_site_fract_z
Pm1 0.0000 0.2463 0.2500
Pm2 0.3333 0.6667 0.0000
Sn1 0.0000 0.3918 0.7500
F1 0.0000 0.0000 0.0000
```

# 4
Structure and simulated powder XRD pattern of SrPmTe2F (the PBE geometry in Alexandria; Cu Ka).
Neutral-atom scattering factors, no anomalous dispersion.
********
2. Create a Briefing Card
Construct briefing cards to prepare SMEs to give public statements and interviews. A briefing card is a concise, informative resource that a SME can use during an interview. When creating a briefing card for a SME, ensure you receive direct input from them. Your SME has the best insight into the depth of detail needed in the briefing card. An effective briefing card has background information, a determined end state, a public statement, a theme, a message from the command and talking points.
3. Rehearse and Refine
Practicing interview skills and techniques before interacting with the media aids in an effortless performance during media interviews. Techniques such as hooking, bridging and flagging help your SME place extra emphasis on key points while talking to the reporter. Provide feedback to SMEs so they can learn from and improve their delivery for future interviews.
Here the article breaks off for data records:
┌──
# 1
Diffraction record for Lu2Si2O7. The powder XRD pattern is theoretical, not measured: it uses a cell relaxed with PBE and Cu Kα (weighted mean of Kα1 and Kα2).
Neutral-atom scattering factors, no anomalous dispersion.

Most intense lines, 2θ = 10–90°, in order of falling intensity:
two_theta, Rel. int., (hkl)
28.06, 100.0, 0 2 1
19.37, 86.1, 0 0 1
29.88, 64.5, 2 0 -1
33.34, 51.6, 1 3 0
16.82, 41.3, 1 1 0
40.37, 37.8, 1 3 1
34.02, 37.8, 2 2 0
27.91, 32.9, 1 1 1
43.03, 30.4, 2 0 -2
27.16, 28.3, 2 0 0

Crystal structure
Unit cell a=6.724 b=8.837 c=4.691 alpha=90.00 beta=102.38 gamma=90.00
Space group C2/m (No. 12)
Asymmetric unit:
Lu 0.000 0.192 0.000 [4 per cell]
Si 0.221 0.500 0.408 [4 per cell]
O 0.000 0.500 0.500 [2 per cell]
O 0.112 0.000 0.283 [4 per cell]
O 0.236 0.347 0.216 [8 per cell]

***

# 2
Diffraction record for LuTa2O4. The powder XRD pattern is theoretical, not measured: it uses a cell relaxed with PBE and Cu Kα (weighted mean of Kα1 and Kα2).
Neutral-atom scattering factors, no anomalous dispersion.

Most intense lines, 2θ = 10–90°, in order of falling intensity:
two_theta, Rel. int., (hkl)
33.14, 100.0, 3 1 1
58.21, 38.3, 4 4 0
53.08, 36.8, 5 1 1
34.66, 27.8, 2 2 2
28.15, 25.6, 2 2 0
82.68, 22.5, 5 5 3
69.55, 12.8, 6 2 2
68.65, 12.5, 5 3 3
49.83, 10.7, 4 2 2
40.24, 10.0, 4 0 0

Crystal structure
Unit cell a=8.965 b=8.965 c=8.965 alpha=90.00 beta=90.00 gamma=90.00
Space group Fd-3m (No. 227, origin choice 2)
Asymmetric unit:
Lu 0.125 0.125 0.125 [8 per cell]
Ta 0.000 0.000 0.500 [16 per cell]
O 0.006 0.006 0.744 [32 per cell]

***

# 3
Diffraction record for Lu2Te5O13. The powder XRD pattern is theoretical, not measured: it uses a cell relaxed with PBE and Cu Kα (weighted mean of Kα1 and Kα2).
Neutral-atom scattering factors, no anomalous dispersion.

Most intense lines, 2θ = 10–90°, in order of falling intensity:
two_theta, Rel. int., (hkl)
28.46, 100.0, 2 1 -1
28.18, 51.0, 0 1 -3
27.74, 48.2, 1 2 2
31.57, 32.4, 2 0 2
33.03, 25.5, -1 1 3
47.00, 24.9, -3 1 1
33.44, 23.9, 1 3 -1
45.68, 13.5, 1 1 5
46.30, 13.1, 3 3 1
56.85, 12.9, 1 4 -4

Crystal structure
Unit cell a=6.794 b=8.510 c=10.355 alpha=88.62 beta=86.75 gamma=74.84
Space group P-1 (No. 2)
Asymmetric unit:
Lu 0.000 0.238 0.239 [2 per cell]
Lu 0.449 0.968 0.819 [2 per cell]
Te 0.132 0.846 0.101 [2 per cell]
Te 0.160 0.303 0.631 [2 per cell]
Te 0.270 0.897 0.476 [2 per cell]
Te 0.290 0.383 0.967 [2 per cell]
Te 0.437 0.411 0.304 [2 per cell]
O 0.037 0.852 0.564 [2 per cell]
O 0.053 0.321 0.036 [2 per cell]
O 0.068 0.520 0.688 [2 per cell]
O 0.068 0.766 0.282 [2 per cell]
O 0.129 0.991 0.898 [2 per cell]
O 0.235 0.001 0.186 [2 per cell]
O 0.312 0.238 0.290 [2 per cell]
O 0.326 0.725 0.778 [2 per cell]
O 0.339 0.014 0.614 [2 per cell]
O 0.340 0.238 0.770 [2 per cell]
O 0.347 0.494 0.122 [2 per cell]
O 0.460 0.688 0.511 [2 per cell]
O 0.471 0.173 0.999 [2 per cell]

***

# 4
└──
4. Manage the Day Of
The day of an interview can be hectic. Still, it is your job as a public affairs professional to manage the chaos and seamlessly facilitate interviews on the day of the interview. Introduce the SME to the interviewer, monitor the interview, close the interview and provide the SME with constructive feedback after the interview. You should also inform the interviewer that they should contact you as the facilitator, not the SME, for any follow-up questions.
Dig into each of the following resources every step of the way when preparing for your next SME interview.